Thursday, August 16, 2007

The History of Santy Claws by Butch Hawkins

(This here is a paper on the history of Santy Claws I turned in to Mr. Erstine Jubal Cain, English teacher at Bucksnort High School, for my first term paper my last year at Bucksnort High School. I got a high C! Yeah! It is reprinted with my permission! – Butch Hawkins.)

A History of Santy Claws

Copyright and by Butch Hawkins

The Bucksnort version of that thar Santy Claws fellar got its inspired-eation from a Dutch legend (that’s a made-up story), not to be confused with a Dutch treat, (something made up by Bessie Lynne Mapleridge’s boyfriend, Clem!) of (it sez here they being Dutch and all, called him) Sinter Klaas, (I am uh pro-nounciating that thar right!?) … brought by them thar pilgimizers to over at New York, whichun they used to call backun then something that sounds like New Hamster Dan, I ne’er seen it spelled out - in the 17th century! Now, that’s nigh unto 400 years ago!

As early as the year 17 hundred and 73 this name Santy Claws was printed in some high filuting Yankee newspaper up north, (as an aside note; it turns out them thar Dutch people gave us the word Yankee, too. Seems like everyone of them thar Dutchy boys had the name John and as seeing as how they liked cheese so much – nearly ate it ‘round the clock ‘chording to my mentor, Mr. Erstine Jubal Cain, of the Bucksnort Highschool English Department, they started a calling themselves John Cheese. Imagine like walking down the main street in front of Mr. Ike Clever’s store and seeing Black Petey Fletcher or Biggun Rumstun and them just a saying to each other, “Hey John Cheese!” “Well, Hey yourself John Cheese!” “Nice day for a walk id’n it John Cheese!” “Yep, it sure iz, John Cheese” Until finally it got shortend-ted to “Hi, Yan Kee” “Well, what’s you say, Yan Kee?” – because they got tired of saying John Cheese so much they kinda pronounciated it like a Spaniard or somebody!) Anyway this Yankee paper writ the name as "Saint A Claus," but it was that thar popular writer by the name of Washington Irving (I always thought that’s how hiz name appeared in the phone book – but that thar is the correct order!) who gave us Colonualists our first details about this Dutch legend (remember that thar’s a made up story) of Santy Claws.

Seems this thar fellar, Washington Irving, wrote a History of New York, (that thar is most likely where Mr. Erstin Jubal Cain found out about John Cheese) put out in the year 18 hundred and ought 9. For some reason, probably because he was ashamed of having hiz names a backwards, Mr. Irving told them he was a named Diedrich Knickerbocker, (you heard me, I am pronounciated that right!). So they published hiz history of New York as a written by ole Diedrich Knickerbocker. (Someday I’ll tell you what a Knickerbocker is – no it’s not what fellars are always trying to do to ole Bland Lemonade Pledge behind Mr. Clever’s store -- your gonna want to hear that!) In his book, Washington, uh I mean Diedrich, described how Santy Claws would arrive on horseback each Eve of Saint Nicholas, that’s short for evening before Christmas. Now I know! What about them elfs, reindeer and chimneys, Butch? Hold your horses thar a Saint Pickolas, or in this case just hold one horse named Rudolf – naw that’s not really hiz name- I just made that up! That was me, making that up – not about the horse but hiz name being named Rudolf – you know like the Reindeer’s name that had that thar red nose --- which by the way was all made up later and made famous by that great singin cowboy, Glenn Autry! Any way, back to Claws on the horse story, (that’s funny sounding!)... this Dutch American Saint Nick came full petunia into his fully Americian-tized form in 18 hundred and 23 in a famous poem called, A Visit From Saint Nicholas, or as more famously known as The Night Before Christmas by writer Clement Clarke Moore. (Actually it’s just known as the Night Before Christmas – that part about Clement Clark Moore is not in the famously known title.) Anyhow, this thar proem (You may think that I mispelled that thar word poem? But proem is a real word – it means like an introduction or something – so that’s why I used it – this here poem is the proem for the next version of Santy Claws), included such picky things as the names of the reindeer; (Guess his horse done throwd a shoe!) Santy Claws' in this poem laughs, winks, and nods; but he is said to be an elf - not a man - nor a saint at’ll! And the method by which Saint Nicholas, which is the elf, which a goes up a chimney comes right out of Washington Deidrich Knickerbocker Irving’s 18 hundred and ought 9 History of New York, which used to be called New Hamster Dan.

Later some fellar named Tommy Nast, drew some pictures of the chimney rising elf as a red suit-wearing Biggun Runstun looking fellar for Christmas issues of a famous Yankee magazine called Harper's magazine. This all started about 18 hundred and 60 (you all know what was going on around here with them thar yankees in 18 hundred and 60) and he kept a going to about the 18 hundred and 80s. Mr. Nast kind of made up stuff like Santy's workshop at the North Pole and Santy having some secret list of the good chiltren and some even more secret list of the bad chiltren of the world. (I am not sure what kind of kids Mr. Nast had – but most likley they were always in trouble which is why old man Nast came up with the lists. They had to have had a rough time growing up - - having everything they did described as the Nasty kids way of doing things). But even still (Stephen’s brother? – that’s a musical joke!) Santy was still more an elf than a man. (Thar’s a joke in thar somewhere!) The full-sized Santy Claws we all knowed and loved, finally appeared in drawings for to sell bottled carbon dated drinks called Coca-Colas in magazine advertisements somewhere about 19 hundred and 31.

Since then, in modren times, only Santy’s toyshop workers are elfs. Some guy who wrote slogans; (that thars those sayings like ‘sing and strut to the barber’s cuts!’ that Mr. Clever, uses on his W-O-O-L radio program), for the Monky Ward Company made up out of clean air Rudolph, the ninth reindeer, with a red shinny nose, in 19 hundred and 39, which I already told you Glenn Autry make famous in his song about him!

So thar you have it! Santy is made up by the Dutch, a guy who was ashamed of his name and a man with the Nasty touch!

The End.

Attached: materials data:
'''
Record 1
AlFe2Os PBEsol relaxed; theoretical density = 11.32 g/cm3; volume = 48.2 Å³/f.u.
1.0
2.934 0.000 0.000
0.000 4.015 -0.042
-1.467 -1.966 4.115
Os Fe Al
1 2 1
Cartesian
0.000 2.008 -0.021
0.000 0.021 2.035
1.467 2.028 2.039
1.467 0.000 0.000


Record 2
AlFe2Os PBEsol relaxed; theoretical density = 11.73 g/cm3; volume = 46.6 Å³/f.u.
1.0
-0.567 1.710 -1.999
0.045 -2.038 -1.757
-6.283 -0.965 0.958
Os Fe Al
1 2 1
Cartesian
-0.261 -0.164 -1.878
-4.666 -0.717 0.711
-1.617 -0.248 0.247
-3.403 -0.647 -1.399


Record 3
ScAlFe2Os PBEsol relaxed; theoretical density = 7.89 g/cm3; volume = 78.7 Å³/f.u.
1.0
4.074 0.000 0.000
0.000 4.074 0.000
0.000 0.000 4.744
Sc Os Fe Al
1 1 2 1
Cartesian
0.000 0.000 0.000
2.037 2.037 2.372
0.000 2.037 0.000
2.037 0.000 0.000
0.000 0.000 2.372


Record 4
AlFeSnOs2 PBEsol relaxed; theoretical density = 9.34 g/cm3; volume = 103.4 Å³/f.u.
1.0
4.518 0.000 0.000
0.000 4.785 0.000
0.000 0.000 4.785
Al Os Sn Fe
1 2 1 1
Cartesian
2.259 2.392 2.392
0.000 0.000 2.392
0.000 2.392 0.000
0.000 0.000 0.000
2.259 0.000 0.000


Record 5
AlFe3P PBEsol relaxed; theoretical density = 4.91 g/cm3; volume = 76.3 Å³/f.u.
1.0
-3.009 -2.975 -0.286
1.746 -2.080 3.257
-2.425 2.193 2.701
P Fe Al
1 3 1
Cartesian
-1.844 -1.431 2.836
0.873 -1.040 1.629
-1.213 1.096 1.350
-1.504 -1.487 -0.143
0.000 0.000 0.000


Record 6
AlFe2P PBEsol relaxed; theoretical density = 6.65 g/cm3; volume = 42.3 Å³/f.u.
1.0
-0.706 1.020 -2.445
-1.693 -2.120 -0.396
-4.186 2.892 2.415
P Fe Al
1 2 1
Cartesian
-1.200 -0.550 -1.421
-3.245 2.242 1.872
-0.940 0.650 0.542
-3.292 0.896 -0.213


Record 7
AlFeP2 PBEsol relaxed; theoretical density = 4.78 g/cm3; volume = 50.3 Å³/f.u.
1.0
3.127 0.000 0.000
0.000 4.010 0.000
0.000 0.000 4.012
P Fe Al
2 1 1
Cartesian
0.000 0.000 0.000
0.000 2.005 2.006
1.563 0.000 2.006
1.563 2.005 0.000


Record 8
Al2FePb PBEsol relaxed; theoretical density = 7.54 g/cm3; volume = 69.8 Å³/f.u.
1.0
2.941 0.000 0.000
0.000 2.941 0.000
0.000 0.000 8.073
Pb Fe Al
1 1 2
Cartesian
1.470 1.470 4.037
1.470 1.470 0.000
0.000 0.000 6.740
0.000 0.000 1.333


Record 9
Al2FePb PBEsol relaxed; theoretical density = 7.44 g/cm3; volume = 70.8 Å³/f.u.
1.0
-0.064 1.722 2.709
1.853 -2.192 1.438
5.606 3.406 -2.032
Pb Fe Al
1 1 2
Cartesian
4.914 2.207 0.616
2.403 1.460 -0.871
0.345 0.210 -0.125
2.536 0.762 1.478


Record 10
Al2FePb PBEsol relaxed; theoretical density = 7.35 g/cm3; volume = 71.6 Å³/f.u.
1.0
3.086 0.000 0.000
-0.185 4.600 0.000
-1.450 -2.300 5.046
Pb Fe Al
1 1 2
Cartesian
1.450 2.300 0.000
0.000 0.000 0.000
-0.725 -1.150 2.523
0.725 1.150 2.523


Record 11
AlFePb PBEsol relaxed; theoretical density = 8.71 g/cm3; volume = 55.3 Å³/f.u.; polymorph energy (0 for the lowest one) = 0.0 meV/atom
1.0
4.276 0.000 0.000
2.138 3.703 0.000
2.138 1.234 3.491
Pb Fe Al
1 1 1
Cartesian
0.000 0.000 0.000
6.414 3.703 2.618
4.276 2.469 1.746


Record 12
AlFe3Pd PBEsol relaxed; theoretical density = 5.38 g/cm3; volume = 92.8 Å³/f.u.
1.0
4.528 0.000 0.000
0.000 4.528 0.000
'''
End of the materials data:

Note to Mr. Cain: I hope it was Ok that I put copyright by Butch Hawkins on this here paper?